International Network for the Availability of Scientific Publications (INASP) Health Information Forum, London, 15th May Programme for the Enhancement of Research Information: an Integrated Response to Needs Carol Priestley
Programme for the Enhancement of Research Information (PERI) The immediate objectives of the programme are to: facilitate the acquisition of international information and knowledge through electronic Information and Communication Technologies (ICTs); strengthen and develop national and regional journals as a medium for the dissemination of local information and knowledge provide awareness or training in the use and/or evaluation of electronic information and communication technologies (ICT); enhance skills in the preparation, production andmanagement of journals.
The objectives are met through: Procurement of international and regional on-line databases, full-text journals and document delivery; Involvement of partners in OnLine programmes; ICT related Workshops - ‘Using the Internet’; ‘Evaluation of Online Information’ Workshops for journal editors, managers and typesetters to support them in moving to a fully electronic environment Programme for the Enhancement of Research Information (PERI)
Pilot Africa Component 1 Acquisition of international and African materials Current Awareness On-line full-text journals Document delivery Project by project institutional country- wide licences country consortia building
Pilot 2001 Current Awareness African Journals OnLine (AJOL) British Library - Inside Web - indexes the Table of Contents of 20,000 research journals EBSCO Academic Search Premier, Business Source Premier, Health Source Plus and Medline SilverPlatter indexing & abstracting databases: CAB Abstracts 90+, CAB HEALTH FRANCIS Pascal Biomed Pascal SciTech MEDLINE+
Pilot 2001 On-line full-text journals examples of negotiation to date include: Academic Press (I-Click) (all 300 journal titles) Blackwell Publishers (approx 280 titles) Blackwell Scientific (incorporating Munksgaard) 260 core titles EBSCO Publishing (over 3500 full-text journals in sciences, social sciences and humanities)
Pilot 2001 Document delivery SilverLinker (provides automatic links to articles within journals for which the library holds a subscription) - print locally British Library Document Supply Centre – provides access to articles from over 20,000 research journals and 100,000 conference proceedings African Journals OnLine (AJOL) – provides copies of articles via INASP
Records of crystals that have nothing to do with the text:
<<<
The following is a calculated X-ray powder pattern of Nb7Zn6. It was derived from the GGA-PBE geometry in OQMD, using Cu Kα, 1.54184 Å.
No peak broadening, texture or thermal motion is included.

Lattice parameters (Å, degrees): 9.8029 9.8029 9.8029 30.13 30.13 30.13
Fractional coordinates of all 13 atoms:
Nb 0.0000 0.0000 0.0000
Nb 0.1675 0.1675 0.1675
Nb 0.3485 0.3485 0.3485
Nb 0.4559 0.4559 0.4559
Nb 0.5441 0.5441 0.5441
Nb 0.6515 0.6515 0.6515
Nb 0.8325 0.8325 0.8325
Zn 0.0904 0.0904 0.5821
Zn 0.0904 0.5821 0.0904
Zn 0.4179 0.9096 0.9096
Zn 0.5821 0.0904 0.0904
Zn 0.9096 0.4179 0.9096
Zn 0.9096 0.9096 0.4179

Largest 10 diffraction maxima, by angle, 2θ = 5–70°:
2theta, d [Å], Rel. int.
35.23, 2.548, 62
38.01, 2.367, 40
38.51, 2.338, 20
40.32, 2.237, 100
40.87, 2.208, 57
41.04, 2.200, 32
44.11, 2.053, 35
47.01, 1.933, 16
66.66, 1.403, 22
67.05, 1.396, 26



The following is a calculated X-ray powder pattern of NbZn13. It was derived from the GGA-PBE geometry in OQMD, using Cu Kα, 1.54184 Å.
No peak broadening, texture or thermal motion is included.

Lattice parameters (Å, degrees): 6.6190 6.6190 5.3785 98.35 98.35 71.10
Fractional coordinates of all 14 atoms:
Nb 0.0000 0.0000 0.0000
Zn 0.0000 0.0000 0.5000
Zn 0.0093 0.6390 0.6892
Zn 0.2265 0.6186 0.1775
Zn 0.2287 0.2287 0.8620
Zn 0.3610 0.9907 0.3108
Zn 0.3814 0.7735 0.8225
Zn 0.3832 0.3832 0.5471
Zn 0.6168 0.6168 0.4529
Zn 0.6186 0.2265 0.1775
Zn 0.6390 0.0093 0.6892
Zn 0.7713 0.7713 0.1380
Zn 0.7735 0.3814 0.8225
Zn 0.9907 0.3610 0.3108

Largest 10 diffraction maxima, by angle, 2θ = 5–70°:
2theta, d [Å], Rel. int.
34.94, 2.568, 16
40.51, 2.227, 51
40.66, 2.219, 100
40.74, 2.215, 31
41.40, 2.181, 47
42.42, 2.131, 66
43.60, 2.076, 26
44.33, 2.043, 29
47.24, 1.924, 10
57.26, 1.609, 11



The following is a calculated X-ray powder pattern of NbZn2. It was derived from the GGA-PBE geometry in OQMD, using Cu Kα, 1.54184 Å.
No peak broadening, texture or thermal motion is included.

Lattice parameters (Å, degrees): 10.5095 4.1596 4.1489 90.00 90.00 90.00
Fractional coordinates of all 12 atoms:
Nb 0.0000 0.2485 0.2500
Nb 0.0000 0.7515 0.7500
Nb 0.5000 0.2515 0.7500
Nb 0.5000 0.7485 0.2500
Zn 0.1775 0.2537 0.7500
Zn 0.1775 0.7463 0.2500
Zn 0.3225 0.2463 0.2500
Zn 0.3225 0.7537 0.7500
Zn 0.6775 0.2463 0.2500
Zn 0.6775 0.7537 0.7500
Zn 0.8225 0.2537 0.7500
Zn 0.8225 0.7463 0.2500

Largest 8 diffraction maxima, by angle, 2θ = 5–70°:
2theta, d [Å], Rel. int.
31.63, 2.829, 4
34.13, 2.627, 3
40.06, 2.251, 100
43.51, 2.080, 20
43.63, 2.074, 20
52.22, 1.752, 10
56.47, 1.629, 2
63.32, 1.469, 13



The following is a calculated X-ray powder pattern of ZrNb. It was derived from the GGA-PBE geometry in OQMD, using Cu Kα, 1.54184 Å.
No peak broadening, texture or thermal motion is included.

Lattice parameters (Å, degrees): 4.8230 9.0038 5.6849 90.00 90.00 90.00
Fractional coordinates of all 12 atoms:
Zr 0.0000 0.1191 0.0000
Zr 0.0000 0.2208 0.4825
Zr 0.0000 0.7792 0.9825
Zr 0.0000 0.8809 0.5000
>>>
So much for the records of crystals:
Free OnLIne Resources: INASP maintains resource pages within PERI and ‘Links & Resources’ Section Examples incl.: HirewireHirewire - Contains over 245,549 free full-text articles as of April 2001 with links to 1000s more STM journals Science and Technology Sources on the Internet.Science and Technology Sources on the Internet. There is Such a Thing as a Free Lunch: Freely Accessible Databases for the Public Scirus Scirus - A specialist search engine for scientific, technical and medial information sources. The Free Medical Journals Site The Free Medical Journals Site is dedicated to the promotion of free access to medical journals over the Internet. Public Library of Science (PLOS) scientists from 136 countries
• Misplaced records of crystals:
/*
# 1
Diffraction record for CeYAl2Pd2. The XRD peak list is computed, not measured: it uses a crystal structure in Alexandria, relaxed with PBE and λ = 1.5418 Å (Cu Kα).
Neutral-atom scattering factors, no anomalous dispersion.

The 10 most intense peaks (10 to 90 degrees two-theta), in order of rising 2θ:
- 2θ = 14.18°, 6.248 Å, I 15
- 2θ = 24.63°, 3.615 Å, I 22
- 2θ = 24.85°, 3.583 Å, I 27
- 2θ = 26.04°, 3.421 Å, I 18
- 2θ = 33.03°, 2.712 Å, I 29
- 2θ = 33.21°, 2.697 Å, I 73
- 2θ = 36.17°, 2.483 Å, I 100
- 2θ = 36.39°, 2.469 Å, I 56
- 2θ = 44.18°, 2.050 Å, I 50
- 2θ = 69.32°, 1.356 Å, I 17

Unit cell a=7.2299 b=4.1010 c=12.3690 alpha=90.00 beta=90.24 gamma=90.00
Space group Pm (No. 6)
Unique sites:
Ce1 0.0000 0.0000 0.0000 x1
Ce2 0.1311 0.0000 0.2895 x1
Ce3 0.6335 0.0000 0.7884 x1
Y1 0.0026 0.0000 0.5806 x1
Y2 0.5024 0.0000 0.0818 x1
Y3 0.5016 0.0000 0.4968 x1
Al1 0.3288 0.5000 0.6685 x1
Al2 0.3321 0.5000 0.9083 x1
Al3 0.4771 0.5000 0.2902 x1
Al4 0.8244 0.5000 0.1725 x1
Al5 0.8264 0.5000 0.4100 x1
Al6 0.9806 0.5000 0.7868 x1
Pd1 0.2041 0.5000 0.1241 x1
Pd2 0.2074 0.5000 0.4526 x1
Pd3 0.2136 0.0000 0.7899 x1
Pd4 0.7078 0.5000 0.6247 x1
Pd5 0.7120 0.0000 0.2892 x1
Pd6 0.7143 0.5000 0.9528 x1

# 2
Diffraction record for Er5ZrAg4. The XRD peak list is computed, not measured: it uses a crystal structure in Alexandria, relaxed with PBE and λ = 1.5418 Å (Cu Kα).
Neutral-atom scattering factors, no anomalous dispersion.

The 10 most intense peaks (10 to 90 degrees two-theta), in order of rising 2θ:
- 2θ = 34.43°, 2.605 Å, I 100
- 2θ = 36.03°, 2.493 Å, I 48
- 2θ = 37.83°, 2.378 Å, I 6
- 2θ = 47.00°, 1.933 Å, I 8
- 2θ = 51.87°, 1.763 Å, I 17
- 2θ = 60.61°, 1.528 Å, I 14
- 2θ = 63.75°, 1.460 Å, I 33
- 2θ = 72.58°, 1.303 Å, I 8
- 2θ = 86.57°, 1.124 Å, I 7
- 2θ = 87.50°, 1.115 Å, I 8

Unit cell a=3.5255 b=3.5255 c=19.3326 alpha=90.00 beta=90.00 gamma=90.00
Space group P4/mmm (No. 123)
Unique sites:
Er1 0.0000 0.0000 0.0000 x1
Er2 0.0000 0.0000 0.1926 x2
Er3 0.0000 0.0000 0.3855 x2
Zr1 0.5000 0.5000 0.5000 x1
Ag1 0.5000 0.5000 0.0955 x2
Ag2 0.5000 0.5000 0.2885 x2


[1]
Diffraction record for Rb3Ac2PrSe6. The PXRD pattern is computed, not measured: it uses a cell relaxed with GGA-PBE and Cu Kα.
Intensities are scaled so that the largest is 100.

The 10 most intense peaks (10 to 80 degrees two-theta), low angle first:
2θ 11.00, I = 31; 2θ 27.04, I = 100; 2θ 34.58, I = 12; 2θ 37.54, I = 12; 2θ 37.57, I = 24; 2θ 39.64, I = 38; 2θ 48.65, I = 20; 2θ 55.76, I = 11; 2θ 61.57, I = 13; 2θ 64.49, I = 17

Cell: 10.6244 10.6244 9.6092 Å, 107.20 107.20 24.70°
Atoms (fractional coordinates):
Rb: 0.0000 0.0000 0.0000
Rb: 0.3332 0.3332 0.6664
Rb: 0.6667 0.6667 0.3336
Ac: 0.3350 0.3350 0.1699
Ac: 0.6650 0.6650 0.8301
Pr: 0.0000 0.0000 0.5000
Se: 0.1531 0.1531 0.6007
Se: 0.1758 0.1758 0.0604
Se: 0.4927 0.4927 0.2835
Se: 0.5073 0.5073 0.7165
Se: 0.8242 0.8242 0.9396
Se: 0.8469 0.8469 0.3993

---

[2]
*/
Pilot 2001 Component 2 African Journals OnLineAfrican Journals OnLine (AJOL)
Pilot 2001 Component 3 ‘Internet’ awareness and training for librarians and researchers ‘Using the Internet’ workshops *Updated April 2001* Content includes: * Introduction to the Internet * Browsers and browsing the Web * Search engines and searching the Web * Information gateways * Resources for teaching, learning and research * Evaluating quality of Internet information * Web page design, usability and evaluation * Free and low cost software available on the Web * Copyright and IPR * as a communication tool * Costing the use of the Internet * Internet training for library users and developing a training plan. ‘Evaluation of OnLine Information’ workshops
+++
For SrZr4As6O24, a crystal structure in the Materials Project, relaxed with PBE gives the calculated powder X-ray diffraction pattern in this record (Cu Kα X-rays).

Principal peaks in the range 5° ≤ 2θ ≤ 70°, by intensity:
two_theta  I/Imax
22.3  100
29.4  68
33.8  34
26.8  27
19.3  25
45.4  21
57.8  18
30.0  17
38.6  16
18.4  16

Atomic structure:
```
SrZr4As6O24
1.0
4.5873 2.6485 8.1169
-4.5873 2.6485 8.1169
0.0000 -5.2970 8.1169
Sr Zr As O
1 4 6 24
Direct
0.0000 0.0000 0.0000
0.1465 0.1465 0.1465
0.3554 0.3554 0.3554
0.6446 0.6446 0.6446
0.8535 0.8535 0.8535
0.0313 0.4625 0.7525
0.2475 0.9687 0.5375
0.4625 0.7525 0.0313
0.5375 0.2475 0.9687
0.7525 0.0313 0.4625
0.9687 0.5375 0.2475
0.0036 0.6236 0.8004
0.0923 0.9058 0.7440
0.0942 0.2560 0.9077
0.1635 0.5164 0.2319
0.1896 0.4716 0.5481
0.1996 0.9964 0.3764
0.2319 0.1635 0.5164
0.2560 0.9077 0.0942
0.3764 0.1996 0.9964
0.4519 0.8104 0.5284
0.4716 0.5481 0.1896
0.4836 0.7681 0.8365
0.5164 0.2319 0.1635
0.5284 0.4519 0.8104
0.5481 0.1896 0.4716
0.6236 0.8004 0.0036
0.7440 0.0923 0.9058
0.7681 0.8365 0.4836
0.8004 0.0036 0.6236
0.8104 0.5284 0.4519
0.8365 0.4836 0.7681
0.9058 0.7440 0.0923
0.9077 0.0942 0.2560
0.9964 0.3764 0.1996
```

***

For Mg16ZrAl12, a crystal structure in the Materials Project, relaxed with PBE gives the calculated powder X-ray diffraction pattern in this record (Cu Kα X-rays).

Principal peaks in the range 5° ≤ 2θ ≤ 70°, by intensity:
two_theta  I/Imax
37.0  100
36.2  98
35.6  55
39.7  50
11.7  34
35.8  34
64.9  27
41.9  21
12.2  16
41.8  16

Atomic structure:
```
Mg16ZrAl12
1.0
7.5646 4.3674 2.9210
-7.5646 4.3674 2.9210
0.0000 -8.7348 2.9210
Mg Zr Al
16 1 12
Direct
0.0000 0.0000 0.0000
0.0017 0.3140 0.6090
0.0017 0.6090 0.3140
0.0080 0.0080 0.3478
0.0080 0.3478 0.0080
0.2831 0.6883 0.6883
0.3140 0.0017 0.6090
0.3140 0.6090 0.0017
0.3478 0.0080 0.0080
0.3982 0.3982 0.7245
0.3982 0.7245 0.3982
0.6090 0.0017 0.3140
0.6090 0.3140 0.0017
0.6883 0.2831 0.6883
0.6883 0.6883 0.2831
0.7245 0.3982 0.3982
0.6320 0.6320 0.6320
0.1939 0.1939 0.8284
0.1939 0.8284 0.1939
0.1971 0.3774 0.3774
0.3774 0.1971 0.3774
0.3774 0.3774 0.1971
0.6373 0.8152 0.9957
0.6373 0.9957 0.8152
0.8152 0.6373 0.9957
0.8152 0.9957 0.6373
0.8284 0.1939 0.1939
0.9957 0.6373 0.8152
0.9957 0.8152 0.6373
```

***

For Ca4Cl6O, a crystal structure in the Materials Project, relaxed with PBE gives the calculated powder X-ray diffraction pattern in this record (Cu Kα X-rays).

Principal peaks in the range 5° ≤ 2θ ≤ 70°, by intensity:
two_theta  I/Imax
32.6  100
34.4  95
36.4  67
39.4  61
11.2  30
45.5  29
25.9  26
40.8  24
39.8  23
65.4  21

Atomic structure:
```
Ca4Cl6O
1.0
9.1434 0.0000 0.0000
-4.5717 7.9184 0.0000
0.0000 0.0000 6.9134
Ca Cl O
8 12 2
Direct
0.1989 0.3978 0.0000
0.1989 0.8011 0.0000
0.3333 0.6667 0.4274
0.3978 0.1989 0.5000
0.6022 0.8011 0.0000
0.6667 0.3333 0.9274
0.8011 0.1989 0.5000
0.8011 0.6022 0.5000
0.0747 0.5374 0.7094
0.1380 0.2760 0.3821
0.1380 0.8620 0.3821
0.2760 0.1380 0.8821
+++
Pilot 2001 Component 4 ONLINE JOURNALS TRAINING PROJECT AIMS AND OBJECTIVES 1. To acquaint 10 key African published journals with the processes and routes of going online. 2. To encourage each journal to determine its preferred methodology of going online. 3. To provide each journal with advice and financial support in getting online. 4. To provide models for other journals in Africa. 5. To assess the effect of going online on journal usage and journal sustainability. 6. To evaluate online as a future model for African journal publishing.